Please find the line further down that holds "diffractogram", then restate that line and all lines after it there.

-- begin --
Theoretical powder diffractogram
Compound: U2InNi2
Radiation: Cu Kα, 1.54184 Å
Structure: a PBE-relaxed structure

The 10 most intense peaks (5 to 70 degrees two-theta), in order of rising 2θ:
- 27.8 deg, I 33, hkl 2 1 0
- 29.7 deg, I 15, hkl 1 1 1
- 34.7 deg, I 31, hkl 2 0 1
- 36.9 deg, I 100, hkl 2 1 1
- 39.7 deg, I 38, hkl 3 1 0
- 48.8 deg, I 14, hkl 0 0 2
- 57.1 deg, I 10, hkl 2 1 2
- 58.4 deg, I 16, hkl 4 1 1
- 60.0 deg, I 16, hkl 3 3 1
- 64.7 deg, I 18, hkl 3 1 2

Structure:
a = 7.188 Å, b = 7.188 Å, c = 3.729 Å
α = 90.00°, β = 90.00°, γ = 90.00°
Space group P4/mbm (No. 127)
Symmetry-distinct sites (fractional):
U: 0.163 0.337 0.000 [4 per cell]
In: 0.000 0.000 0.500 [2 per cell]
Ni: 0.132 0.632 0.500 [4 per cell]

=====

Starting from a structure optimized by DFT (PBE+U), the X-ray powder pattern of Li7Co5O12 was computed for λ = 1.5418 Å (Cu Kα).
Kinematic intensities with the Lorentz-polarization factor, no thermal factor.

```
data_Li7Co5O12
_chemical_formula_sum 'Li7 Co5 O12'
_cell_length_a 5.6801
_cell_length_b 6.3865
_cell_length_c 6.4198
_cell_angle_alpha 96.92
_cell_angle_beta 102.79
_cell_angle_gamma 116.32
_space_group_name_H-M_alt 'P 1'
_space_group_IT_number 1
_space_group_name_Hall 'P 1'
loop_
_atom_site_label
_atom_site_type_symbol
_atom_site_fract_x
_atom_site_fract_y
_atom_site_fract_z
Li1 Li 0.0000 0.0000 0.0000
Li2 Li 0.2433 0.8341 0.3258
Li3 Li 0.2456 0.1666 0.6725
Li4 Li 0.2487 0.4962 0.9998
Li5 Li 0.7513 0.5038 0.0002
Li6 Li 0.7544 0.8334 0.3275
Li7 Li 0.7567 0.1659 0.6742
Co1 Co 0.9998 0.3277 0.3313
Co2 Co 0.0002 0.6723 0.6687
Co3 Co 0.4964 0.3295 0.3325
Co4 Co 0.5000 0.0000 0.0000
Co5 Co 0.5036 0.6705 0.6675
O1 O 0.1290 0.4369 0.6501
O2 O 0.1412 0.1110 0.3389
O3 O 0.1427 0.7607 0.9817
O4 O 0.3666 0.5618 0.3470
O5 O 0.3724 0.9035 0.6822
O6 O 0.3907 0.2387 0.0181
O7 O 0.6093 0.7613 0.9819
O8 O 0.6276 0.0965 0.3178
O9 O 0.6334 0.4382 0.6530
O10 O 0.8573 0.2393 0.0183
O11 O 0.8588 0.8890 0.6611
O12 O 0.8710 0.5631 0.3499
```

Principal peaks in the range 10° ≤ 2θ ≤ 90°, in order of rising 2θ:
(0 1 -1), 18.80°, intensity 100
(0 1 2), 37.17°, intensity 36
(2 -1 1), 38.75°, intensity 7
(0 0 3), 44.90°, intensity 51
(2 -3 0), 45.01°, intensity 25
(2 0 -3), 49.00°, intensity 8
(2 2 -2), 59.25°, intensity 10
(2 1 -4), 64.82°, intensity 13
(-4 2 1), 65.76°, intensity 7
(2 1 2), 65.98°, intensity 14
-- stop --

Theoretical powder diffractogram
Compound: U2InNi2
Radiation: Cu Kα, 1.54184 Å
Structure: a PBE-relaxed structure

The 10 most intense peaks (5 to 70 degrees two-theta), in order of rising 2θ:
- 27.8 deg, I 33, hkl 2 1 0
- 29.7 deg, I 15, hkl 1 1 1
- 34.7 deg, I 31, hkl 2 0 1
- 36.9 deg, I 100, hkl 2 1 1
- 39.7 deg, I 38, hkl 3 1 0
- 48.8 deg, I 14, hkl 0 0 2
- 57.1 deg, I 10, hkl 2 1 2
- 58.4 deg, I 16, hkl 4 1 1
- 60.0 deg, I 16, hkl 3 3 1
- 64.7 deg, I 18, hkl 3 1 2

Structure:
a = 7.188 Å, b = 7.188 Å, c = 3.729 Å
α = 90.00°, β = 90.00°, γ = 90.00°
Space group P4/mbm (No. 127)
Symmetry-distinct sites (fractional):
U: 0.163 0.337 0.000 [4 per cell]
In: 0.000 0.000 0.500 [2 per cell]
Ni: 0.132 0.632 0.500 [4 per cell]

=====

Starting from a structure optimized by DFT (PBE+U), the X-ray powder pattern of Li7Co5O12 was computed for λ = 1.5418 Å (Cu Kα).
Kinematic intensities with the Lorentz-polarization factor, no thermal factor.

```
data_Li7Co5O12
_chemical_formula_sum 'Li7 Co5 O12'
_cell_length_a 5.6801
_cell_length_b 6.3865
_cell_length_c 6.4198
_cell_angle_alpha 96.92
_cell_angle_beta 102.79
_cell_angle_gamma 116.32
_space_group_name_H-M_alt 'P 1'
_space_group_IT_number 1
_space_group_name_Hall 'P 1'
loop_
_atom_site_label
_atom_site_type_symbol
_atom_site_fract_x
_atom_site_fract_y
_atom_site_fract_z
Li1 Li 0.0000 0.0000 0.0000
Li2 Li 0.2433 0.8341 0.3258
Li3 Li 0.2456 0.1666 0.6725
Li4 Li 0.2487 0.4962 0.9998
Li5 Li 0.7513 0.5038 0.0002
Li6 Li 0.7544 0.8334 0.3275
Li7 Li 0.7567 0.1659 0.6742
Co1 Co 0.9998 0.3277 0.3313
Co2 Co 0.0002 0.6723 0.6687
Co3 Co 0.4964 0.3295 0.3325
Co4 Co 0.5000 0.0000 0.0000
Co5 Co 0.5036 0.6705 0.6675
O1 O 0.1290 0.4369 0.6501
O2 O 0.1412 0.1110 0.3389
O3 O 0.1427 0.7607 0.9817
O4 O 0.3666 0.5618 0.3470
O5 O 0.3724 0.9035 0.6822
O6 O 0.3907 0.2387 0.0181
O7 O 0.6093 0.7613 0.9819
O8 O 0.6276 0.0965 0.3178
O9 O 0.6334 0.4382 0.6530
O10 O 0.8573 0.2393 0.0183
O11 O 0.8588 0.8890 0.6611
O12 O 0.8710 0.5631 0.3499
```

Principal peaks in the range 10° ≤ 2θ ≤ 90°, in order of rising 2θ:
(0 1 -1), 18.80°, intensity 100
(0 1 2), 37.17°, intensity 36
(2 -1 1), 38.75°, intensity 7
(0 0 3), 44.90°, intensity 51
(2 -3 0), 45.01°, intensity 25
(2 0 -3), 49.00°, intensity 8
(2 2 -2), 59.25°, intensity 10
(2 1 -4), 64.82°, intensity 13
(-4 2 1), 65.76°, intensity 7
(2 1 2), 65.98°, intensity 14